Wanted =
Set down the contents below verbatim, please.

Input =
┌──
This entry pairs a crystal structure of Ti4Ir2Pt3 with its computed XRD peak list. Radiation: Cu Kα (weighted mean of Kα1 and Kα2). Structure: a crystal structure in Alexandria, relaxed with PBE.
No peak broadening, texture or thermal motion is included.

Top 6 peaks for 10° ≤ 2θ ≤ 80°, in order of falling intensity:
d/Å	intensity
2.277	100
2.071	20
1.980	17
3.163	14
1.878	13
2.568	13

Atomic structure:
a = 4.718 Å, b = 4.718 Å, c = 8.400 Å
α = 102.13°, β = 102.13°, γ = 49.64°
Atoms (fractional coordinates):
Ti: 0.022 0.022 0.336
Ti: 0.333 0.333 0.112
Ti: 0.667 0.667 0.888
Ti: 0.978 0.978 0.664
Ir: 0.329 0.329 0.786
Ir: 0.671 0.671 0.214
Pt: 0.000 0.000 0.000
Pt: 0.338 0.338 0.435
Pt: 0.662 0.662 0.565

This entry pairs a crystal structure of TlZnIr2Pt with its computed XRD peak list. Radiation: Cu Kα (weighted mean of Kα1 and Kα2). Structure: a crystal structure in Alexandria, relaxed with PBE.
No peak broadening, texture or thermal motion is included.

Top 6 peaks for 10° ≤ 2θ ≤ 80°, in order of falling intensity:
d/Å	intensity
2.495	100
4.990	80
1.764	72
2.881	54
2.232	42
1.440	25

Atomic structure:
a = 4.992 Å, b = 4.992 Å, c = 4.986 Å
α = 90.00°, β = 90.00°, γ = 90.00°
Atoms (fractional coordinates):
Tl: 0.000 0.000 0.000
Zn: 0.500 0.500 0.500
Ir: 0.000 0.500 0.000
Ir: 0.500 0.000 0.000
Pt: 0.000 0.000 0.500

This entry pairs a crystal structure of Tm6IrPt2 with its computed XRD peak list. Radiation: Cu Kα (weighted mean of Kα1 and Kα2). Structure: a crystal structure in Alexandria, relaxed with PBE.
No peak broadening, texture or thermal motion is included.

Top 6 peaks for 10° ≤ 2θ ≤ 80°, in order of falling intensity:
d/Å	intensity
2.871	100
2.683	91
2.893	74
3.019	60
2.251	54
2.432	47

Atomic structure:
a = 6.513 Å, b = 7.198 Å, c = 11.620 Å
α = 90.00°, β = 121.61°, γ = 90.00°
Atoms (fractional coordinates):
Tm: 0.093 0.183 0.431
Tm: 0.093 0.317 0.931
Tm: 0.250 0.676 0.426
Tm: 0.250 0.824 0.926
Tm: 0.404 0.044 0.246
Tm: 0.404 0.456 0.746
Tm: 0.596 0.544 0.254
Tm: 0.596 0.956 0.754
Tm: 0.750 0.176 0.074
Tm: 0.750 0.324 0.574
Tm: 0.907 0.683 0.069
Tm: 0.907 0.817 0.569
Ir: 0.500 0.000 0.500
Ir: 0.500 0.500 0.000
Pt: 0.184 0.115 0.739
Pt: 0.184 0.385 0.239
Pt: 0.816 0.615 0.761
Pt: 0.816 0.885 0.261

This entry pairs a crystal structure of Tm6IrPt3 with its computed XRD peak list. Radiation: Cu Kα (weighted mean of Kα1 and Kα2). Structure: a crystal structure in Alexandria, relaxed with PBE.
No peak broadening, texture or thermal motion is included.

Top 6 peaks for 10° ≤ 2θ ≤ 80°, in order of falling intensity:
d/Å	intensity
2.404	100
2.367	86
2.855	34
2.394	25
1.696	18
2.835	17

Atomic structure:
a = 8.159 Å, b = 11.829 Å, c = 4.804 Å
α = 90.00°, β = 90.00°, γ = 90.00°
Atoms (fractional coordinates):
Tm: 0.000 0.245 0.000
Tm: 0.000 0.755 0.000
Tm: 0.153 0.409 0.500
Tm: 0.175 0.076 0.500
Tm: 0.325 0.576 0.000
Tm: 0.347 0.909 0.000
Tm: 0.500 0.255 0.500
Tm: 0.500 0.745 0.500
Tm: 0.653 0.091 0.000
Tm: 0.675 0.424 0.000
Tm: 0.825 0.924 0.500
Tm: 0.847 0.591 0.500
Ir: 0.000 0.500 0.000
Ir: 0.500 0.000 0.500
Pt: 0.000 0.000 0.000
Pt: 0.166 0.828 0.500
Pt: 0.334 0.328 0.000
Pt: 0.500 0.500 0.500
Pt: 0.666 0.672 0.000
Pt: 0.834 0.172 0.500

This entry pairs a crystal structure of V4IrPt3 with its computed XRD peak list. Radiation: Cu Kα (weighted mean of Kα1 and Kα2). Structure: a crystal structure in Alexandria, relaxed with PBE.
No peak broadening, texture or thermal motion is included.

Top 6 peaks for 10° ≤ 2θ ≤ 80°, in order of falling intensity:
d/Å	intensity
2.087	100
3.299	59
2.343	35
2.324	35
1.650	23
1.291	21

Atomic structure:
a = 2.695 Å, b = 4.647 Å, c = 9.370 Å
α = 90.00°, β = 90.00°, γ = 90.00°
Atoms (fractional coordinates):
V: 0.000 0.000 0.000
V: 0.000 0.000 0.500
V: 0.000 0.500 0.239
V: 0.000 0.500 0.761
Ir: 0.500 0.500 0.000
Pt: 0.500 0.000 0.257
Pt: 0.500 0.000 0.743
Pt: 0.500 0.500 0.500
└──

Worked solution =
This entry pairs a crystal structure of Ti4Ir2Pt3 with its computed XRD peak list. Radiation: Cu Kα (weighted mean of Kα1 and Kα2). Structure: a crystal structure in Alexandria, relaxed with PBE.
No peak broadening, texture or thermal motion is included.

Top 6 peaks for 10° ≤ 2θ ≤ 80°, in order of falling intensity:
d/Å	intensity
2.277	100
2.071	20
1.980	17
3.163	14
1.878	13
2.568	13

Atomic structure:
a = 4.718 Å, b = 4.718 Å, c = 8.400 Å
α = 102.13°, β = 102.13°, γ = 49.64°
Atoms (fractional coordinates):
Ti: 0.022 0.022 0.336
Ti: 0.333 0.333 0.112
Ti: 0.667 0.667 0.888
Ti: 0.978 0.978 0.664
Ir: 0.329 0.329 0.786
Ir: 0.671 0.671 0.214
Pt: 0.000 0.000 0.000
Pt: 0.338 0.338 0.435
Pt: 0.662 0.662 0.565

This entry pairs a crystal structure of TlZnIr2Pt with its computed XRD peak list. Radiation: Cu Kα (weighted mean of Kα1 and Kα2). Structure: a crystal structure in Alexandria, relaxed with PBE.
No peak broadening, texture or thermal motion is included.

Top 6 peaks for 10° ≤ 2θ ≤ 80°, in order of falling intensity:
d/Å	intensity
2.495	100
4.990	80
1.764	72
2.881	54
2.232	42
1.440	25

Atomic structure:
a = 4.992 Å, b = 4.992 Å, c = 4.986 Å
α = 90.00°, β = 90.00°, γ = 90.00°
Atoms (fractional coordinates):
Tl: 0.000 0.000 0.000
Zn: 0.500 0.500 0.500
Ir: 0.000 0.500 0.000
Ir: 0.500 0.000 0.000
Pt: 0.000 0.000 0.500

This entry pairs a crystal structure of Tm6IrPt2 with its computed XRD peak list. Radiation: Cu Kα (weighted mean of Kα1 and Kα2). Structure: a crystal structure in Alexandria, relaxed with PBE.
No peak broadening, texture or thermal motion is included.

Top 6 peaks for 10° ≤ 2θ ≤ 80°, in order of falling intensity:
d/Å	intensity
2.871	100
2.683	91
2.893	74
3.019	60
2.251	54
2.432	47

Atomic structure:
a = 6.513 Å, b = 7.198 Å, c = 11.620 Å
α = 90.00°, β = 121.61°, γ = 90.00°
Atoms (fractional coordinates):
Tm: 0.093 0.183 0.431
Tm: 0.093 0.317 0.931
Tm: 0.250 0.676 0.426
Tm: 0.250 0.824 0.926
Tm: 0.404 0.044 0.246
Tm: 0.404 0.456 0.746
Tm: 0.596 0.544 0.254
Tm: 0.596 0.956 0.754
Tm: 0.750 0.176 0.074
Tm: 0.750 0.324 0.574
Tm: 0.907 0.683 0.069
Tm: 0.907 0.817 0.569
Ir: 0.500 0.000 0.500
Ir: 0.500 0.500 0.000
Pt: 0.184 0.115 0.739
Pt: 0.184 0.385 0.239
Pt: 0.816 0.615 0.761
Pt: 0.816 0.885 0.261

This entry pairs a crystal structure of Tm6IrPt3 with its computed XRD peak list. Radiation: Cu Kα (weighted mean of Kα1 and Kα2). Structure: a crystal structure in Alexandria, relaxed with PBE.
No peak broadening, texture or thermal motion is included.

Top 6 peaks for 10° ≤ 2θ ≤ 80°, in order of falling intensity:
d/Å	intensity
2.404	100
2.367	86
2.855	34
2.394	25
1.696	18
2.835	17

Atomic structure:
a = 8.159 Å, b = 11.829 Å, c = 4.804 Å
α = 90.00°, β = 90.00°, γ = 90.00°
Atoms (fractional coordinates):
Tm: 0.000 0.245 0.000
Tm: 0.000 0.755 0.000
Tm: 0.153 0.409 0.500
Tm: 0.175 0.076 0.500
Tm: 0.325 0.576 0.000
Tm: 0.347 0.909 0.000
Tm: 0.500 0.255 0.500
Tm: 0.500 0.745 0.500
Tm: 0.653 0.091 0.000
Tm: 0.675 0.424 0.000
Tm: 0.825 0.924 0.500
Tm: 0.847 0.591 0.500
Ir: 0.000 0.500 0.000
Ir: 0.500 0.000 0.500
Pt: 0.000 0.000 0.000
Pt: 0.166 0.828 0.500
Pt: 0.334 0.328 0.000
Pt: 0.500 0.500 0.500
Pt: 0.666 0.672 0.000
Pt: 0.834 0.172 0.500

This entry pairs a crystal structure of V4IrPt3 with its computed XRD peak list. Radiation: Cu Kα (weighted mean of Kα1 and Kα2). Structure: a crystal structure in Alexandria, relaxed with PBE.
No peak broadening, texture or thermal motion is included.

Top 6 peaks for 10° ≤ 2θ ≤ 80°, in order of falling intensity:
d/Å	intensity
2.087	100
3.299	59
2.343	35
2.324	35
1.650	23
1.291	21

Atomic structure:
a = 2.695 Å, b = 4.647 Å, c = 9.370 Å
α = 90.00°, β = 90.00°, γ = 90.00°
Atoms (fractional coordinates):
V: 0.000 0.000 0.000
V: 0.000 0.000 0.500
V: 0.000 0.500 0.239
V: 0.000 0.500 0.761
Ir: 0.500 0.500 0.000
Pt: 0.500 0.000 0.257
Pt: 0.500 0.000 0.743
Pt: 0.500 0.500 0.500